Input:
~~~
Entry 1:
A relaxed CeNb6Sn6 crystal, computed with GGA-PBE.

```
CeNb6Sn6
1.0
-2.913 4.819 5.033
2.913 -4.819 5.033
2.913 4.819 -5.033
Ce Nb Sn
1 6 6
Direct
0.000 0.000 0.000 Ce
0.000 0.000 0.500 Nb
0.000 0.500 0.000 Nb
0.252 0.500 0.752 Nb
0.500 0.000 0.000 Nb
0.500 0.500 0.500 Nb
0.748 0.500 0.248 Nb
0.165 0.665 0.500 Sn
0.334 0.334 0.000 Sn
0.336 0.000 0.336 Sn
0.664 0.000 0.664 Sn
0.666 0.666 0.000 Sn
0.835 0.335 0.500 Sn
```

Calculated values
- ΔE_f (eV/atom) = -0.312
- symmetry = Immm, No. 71
- total magnetization (μB per formula unit) = 0.631
- crystal system = orthorhombic

=====

Entry 2:
A relaxed Mg2C crystal, computed with GGA-PBE.

```
Mg2C
1.0
3.503 0.000 0.000
-1.752 3.034 0.000
0.000 0.000 10.904
Mg C
4 2
Direct
0.333 0.667 0.087 Mg
0.333 0.667 0.413 Mg
0.667 0.333 0.587 Mg
0.667 0.333 0.913 Mg
0.000 0.000 0.000 C
0.000 0.000 0.500 C
```

Calculated values
- ΔE_f (eV/atom) = 0.555
- symmetry = P6_3/mmc, No. 194
- total magnetization (μB per formula unit) = 0.000
- crystal system = hexagonal

=====

Entry 3:
A relaxed Cu2PtSe crystal, computed with GGA-PBE.

```
Cu2PtSe
1.0
3.318 0.000 0.000
0.000 3.424 0.000
-0.014 0.000 5.231
Cu Pt Se
2 1 1
Direct
0.001 0.000 0.244 Cu
0.999 0.000 0.756 Cu
0.500 0.500 0.000 Pt
0.500 0.500 0.500 Se
```

Calculated values
- energy relative to the elements, uncorrected (meV per atom) = 60.9
- symmetry = P2/m, No. 10
- total magnetization (μB per formula unit) = 0.000
- crystal system = monoclinic

=====

Entry 4:
A relaxed Dy2ErF8 crystal, computed with GGA-PBE.

```
Dy2ErF8
1.0
7.754 -1.770 0.000
7.754 1.770 0.000
-2.024 0.000 5.227
Dy Er F
2 1 8
Direct
0.179 0.179 0.179 Dy
0.821 0.821 0.821 Dy
0.500 0.500 0.500 Er
0.052 0.052 0.275 F
0.223 0.223 0.829 F
0.318 0.318 0.546 F
0.402 0.402 0.081 F
0.598 0.598 0.919 F
0.682 0.682 0.454 F
0.777 0.777 0.171 F
0.948 0.948 0.725 F
```

Calculated values
- energy relative to the elements, uncorrected (meV per atom) = -3855.2
- symmetry = C2/m, No. 12
- total magnetization (μB per formula unit) = 0.152
- crystal system = monoclinic

=====

Entry 5:
A relaxed Ho5Er8Mg crystal, computed with GGA-PBE.

```
Ho5Er8Mg
1.0
-4.745 4.745 4.924
4.745 -4.745 4.924
4.745 4.745 -4.924
Ho Er Mg
5 8 1
Direct
0.000 0.000 0.000 Ho
0.212 0.315 0.686 Ho
0.475 0.788 0.103 Ho
0.628 0.525 0.314 Ho
0.685 0.372 0.897 Ho
0.157 0.427 0.090 Er
0.336 0.066 0.910 Er
0.418 0.160 0.395 Er
0.573 0.664 0.730 Er
0.766 0.023 0.605 Er
0.840 0.234 0.257 Er
0.934 0.843 0.270 Er
0.977 0.582 0.743 Er
0.250 0.750 0.500 Mg
```

Calculated values
- ΔE_f (eV/atom) = 0.236
- symmetry = I-4, No. 82
- total magnetization (μB per formula unit) = 0.000
- crystal system = tetragonal

=====

Entry 6:
A relaxed Ac2MnAs3Ir4 crystal, computed with GGA-PBE.

```
Ac2MnAs3Ir4
1.0
4.300 0.000 0.000
0.000 4.300 0.000
0.000 0.000 10.580
Ac Mn As Ir
2 1 3 4
Direct
0.000 0.500 0.245 Ac
0.500 0.000 0.755 Ac
0.500 0.500 0.000 Mn
0.000 0.000 0.000 As
0.000 0.500 0.635 As
0.500 0.000 0.365 As
0.000 0.000 0.500 Ir
0.000 0.500 0.870 Ir
0.500 0.000 0.130 Ir
0.500 0.500 0.500 Ir
```

Calculated values
- ΔE_f (eV/atom) = -0.643
- symmetry = P-4m2, No. 115
- total magnetization (μB per formula unit) = 3.671
- crystal system = tetragonal

=====

Entry 7:
A relaxed Mn2BeTe crystal, computed with GGA-PBE.

```
Mn2BeTe
1.0
3.455 0.000 0.000
-1.728 2.992 0.000
0.000 0.000 18.043
Mn Be Te
6 3 3
Direct
0.000 0.000 0.227 Mn
0.000 0.000 0.773 Mn
0.333 0.667 0.439 Mn
0.333 0.667 0.894 Mn
0.667 0.333 0.106 Mn
0.667 0.333 0.561 Mn
0.000 0.000 0.500 Be
0.333 0.667 0.167 Be
0.667 0.333 0.833 Be
0.000 0.000 0.000 Te
0.333 0.667 0.667 Te
0.667 0.333 0.333 Te
```

Calculated values
- energy relative to the elements, uncorrected (meV per atom) = 304.5
- symmetry = R-3m, No. 166
- total magnetization (μB per formula unit) = 5.670
- crystal system = trigonal

=====

Entry 8:
A relaxed ThZnGe2 crystal, computed with GGA-PBE.

```
ThZnGe2
1.0
4.452 0.000 0.000
-2.226 3.855 0.000
0.000 0.000 14.873
Th Zn Ge
3 3 6
Direct
~~~

Assignment:
Could you return only the last part of the calculation results further up, starting with the line that has "0.000 Ce"?

Here it is:
0.000 0.000 0.000 Ce
0.000 0.000 0.500 Nb
0.000 0.500 0.000 Nb
0.252 0.500 0.752 Nb
0.500 0.000 0.000 Nb
0.500 0.500 0.500 Nb
0.748 0.500 0.248 Nb
0.165 0.665 0.500 Sn
0.334 0.334 0.000 Sn
0.336 0.000 0.336 Sn
0.664 0.000 0.664 Sn
0.666 0.666 0.000 Sn
0.835 0.335 0.500 Sn
```

Calculated values
- ΔE_f (eV/atom) = -0.312
- symmetry = Immm, No. 71
- total magnetization (μB per formula unit) = 0.631
- crystal system = orthorhombic

=====

Entry 2:
A relaxed Mg2C crystal, computed with GGA-PBE.

```
Mg2C
1.0
3.503 0.000 0.000
-1.752 3.034 0.000
0.000 0.000 10.904
Mg C
4 2
Direct
0.333 0.667 0.087 Mg
0.333 0.667 0.413 Mg
0.667 0.333 0.587 Mg
0.667 0.333 0.913 Mg
0.000 0.000 0.000 C
0.000 0.000 0.500 C
```

Calculated values
- ΔE_f (eV/atom) = 0.555
- symmetry = P6_3/mmc, No. 194
- total magnetization (μB per formula unit) = 0.000
- crystal system = hexagonal

=====

Entry 3:
A relaxed Cu2PtSe crystal, computed with GGA-PBE.

```
Cu2PtSe
1.0
3.318 0.000 0.000
0.000 3.424 0.000
-0.014 0.000 5.231
Cu Pt Se
2 1 1
Direct
0.001 0.000 0.244 Cu
0.999 0.000 0.756 Cu
0.500 0.500 0.000 Pt
0.500 0.500 0.500 Se
```

Calculated values
- energy relative to the elements, uncorrected (meV per atom) = 60.9
- symmetry = P2/m, No. 10
- total magnetization (μB per formula unit) = 0.000
- crystal system = monoclinic

=====

Entry 4:
A relaxed Dy2ErF8 crystal, computed with GGA-PBE.

```
Dy2ErF8
1.0
7.754 -1.770 0.000
7.754 1.770 0.000
-2.024 0.000 5.227
Dy Er F
2 1 8
Direct
0.179 0.179 0.179 Dy
0.821 0.821 0.821 Dy
0.500 0.500 0.500 Er
0.052 0.052 0.275 F
0.223 0.223 0.829 F
0.318 0.318 0.546 F
0.402 0.402 0.081 F
0.598 0.598 0.919 F
0.682 0.682 0.454 F
0.777 0.777 0.171 F
0.948 0.948 0.725 F
```

Calculated values
- energy relative to the elements, uncorrected (meV per atom) = -3855.2
- symmetry = C2/m, No. 12
- total magnetization (μB per formula unit) = 0.152
- crystal system = monoclinic

=====

Entry 5:
A relaxed Ho5Er8Mg crystal, computed with GGA-PBE.

```
Ho5Er8Mg
1.0
-4.745 4.745 4.924
4.745 -4.745 4.924
4.745 4.745 -4.924
Ho Er Mg
5 8 1
Direct
0.000 0.000 0.000 Ho
0.212 0.315 0.686 Ho
0.475 0.788 0.103 Ho
0.628 0.525 0.314 Ho
0.685 0.372 0.897 Ho
0.157 0.427 0.090 Er
0.336 0.066 0.910 Er
0.418 0.160 0.395 Er
0.573 0.664 0.730 Er
0.766 0.023 0.605 Er
0.840 0.234 0.257 Er
0.934 0.843 0.270 Er
0.977 0.582 0.743 Er
0.250 0.750 0.500 Mg
```

Calculated values
- ΔE_f (eV/atom) = 0.236
- symmetry = I-4, No. 82
- total magnetization (μB per formula unit) = 0.000
- crystal system = tetragonal

=====

Entry 6:
A relaxed Ac2MnAs3Ir4 crystal, computed with GGA-PBE.

```
Ac2MnAs3Ir4
1.0
4.300 0.000 0.000
0.000 4.300 0.000
0.000 0.000 10.580
Ac Mn As Ir
2 1 3 4
Direct
0.000 0.500 0.245 Ac
0.500 0.000 0.755 Ac
0.500 0.500 0.000 Mn
0.000 0.000 0.000 As
0.000 0.500 0.635 As
0.500 0.000 0.365 As
0.000 0.000 0.500 Ir
0.000 0.500 0.870 Ir
0.500 0.000 0.130 Ir
0.500 0.500 0.500 Ir
```

Calculated values
- ΔE_f (eV/atom) = -0.643
- symmetry = P-4m2, No. 115
- total magnetization (μB per formula unit) = 3.671
- crystal system = tetragonal

=====

Entry 7:
A relaxed Mn2BeTe crystal, computed with GGA-PBE.

```
Mn2BeTe
1.0
3.455 0.000 0.000
-1.728 2.992 0.000
0.000 0.000 18.043
Mn Be Te
6 3 3
Direct
0.000 0.000 0.227 Mn
0.000 0.000 0.773 Mn
0.333 0.667 0.439 Mn
0.333 0.667 0.894 Mn
0.667 0.333 0.106 Mn
0.667 0.333 0.561 Mn
0.000 0.000 0.500 Be
0.333 0.667 0.167 Be
0.667 0.333 0.833 Be
0.000 0.000 0.000 Te
0.333 0.667 0.667 Te
0.667 0.333 0.333 Te
```

Calculated values
- energy relative to the elements, uncorrected (meV per atom) = 304.5
- symmetry = R-3m, No. 166
- total magnetization (μB per formula unit) = 5.670
- crystal system = trigonal

=====

Entry 8:
A relaxed ThZnGe2 crystal, computed with GGA-PBE.

```
ThZnGe2
1.0
4.452 0.000 0.000
-2.226 3.855 0.000
0.000 0.000 14.873
Th Zn Ge
3 3 6
Direct